NHS Newborn Hearing Screening Programme: Information sheet for parent...

If you have difficulty reading or writing, please follow this link for easy read guides to screening: Screening tests for you and your baby: easy guides - GOV.UK (www.gov.uk) .


New Born Infant Physical Examination (NIPE)

Between two parts of the piece: crystal structures >
~~~
# 1
DFT (r²SCAN) results for an optimized crystal structure of DyCu5.

```
6
Lattice="0.000 3.476 3.476 3.476 0.000 3.476 3.476 3.476 0.000" Properties=species:S:1:pos:R:3 pbc="T T T"
Dy 0.000 0.000 0.000
Cu 4.337 2.614 2.614
Cu 1.738 1.738 1.738
Cu 2.614 4.337 2.614
Cu 2.614 2.614 4.337
Cu 4.337 4.337 4.337
```

# 2
DFT (r²SCAN) results for an optimized crystal structure of BaB8O13.

```
88
Lattice="8.654 0.000 0.000 0.000 8.654 0.000 0.000 0.000 13.105" Properties=species:S:1:pos:R:3 pbc="T T T"
Ba 0.000 4.047 0.000
Ba 0.000 4.607 6.553
Ba 4.047 0.000 9.829
Ba 4.607 0.000 3.276
B 0.653 1.886 9.797
B 0.653 6.767 9.861
B 1.105 1.105 4.914
B 1.105 7.549 1.638
B 1.630 2.282 2.822
B 1.630 6.372 3.730
B 1.886 0.653 0.032
B 1.886 8.001 6.520
B 2.282 1.630 7.007
B 2.282 7.024 12.651
B 2.467 2.467 11.467
B 2.467 6.187 8.191
B 3.205 3.790 8.019
B 3.205 4.864 11.639
B 3.790 3.205 1.810
B 3.790 5.449 4.743
B 4.864 3.205 11.295
B 4.864 5.449 8.362
B 5.449 3.790 5.086
B 5.449 4.864 1.467
B 6.187 2.467 1.638
B 6.187 6.187 4.914
B 6.372 1.630 6.098
B 6.372 7.024 0.454
B 6.767 0.653 13.073
B 6.767 8.001 6.585
B 7.024 2.282 10.283
B 7.024 6.372 9.375
B 7.549 1.105 8.191
B 7.549 7.549 11.467
B 8.001 1.886 3.308
B 8.001 6.767 3.244
O 0.283 1.291 8.634
O 0.283 7.363 11.024
O 0.299 2.603 2.589
O 0.299 6.051 3.963
O 1.291 0.283 1.195
O 1.291 8.371 5.358
O 1.441 2.042 6.028
O 1.441 6.611 0.525
O 1.842 1.931 12.673
O 1.842 6.723 6.985
O 1.931 1.842 10.261
O 1.931 6.812 9.397
O 2.042 1.441 3.801
O 2.042 7.213 2.752
O 2.215 3.938 11.532
O 2.215 4.716 8.126
O 2.474 3.000 2.034
O 2.474 5.654 4.519
O 2.603 0.299 7.240
O 2.603 8.355 12.418
O 3.000 2.474 7.795
O 3.000 6.180 11.863
O 3.938 2.215 11.402
O 3.938 6.439 8.256
O 4.132 4.132 4.914
O 4.132 4.522 1.638
O 4.522 4.132 8.191
O 4.522 4.522 11.467
O 4.716 2.215 1.703
O 4.716 6.439 4.849
O 5.654 2.474 5.310
O 5.654 6.180 1.242
O 6.051 0.299 5.866
O 6.051 8.355 0.687
O 6.180 3.000 11.071
O 6.180 5.654 8.587
O 6.439 3.938 1.573
O 6.439 4.716 4.979
O 6.611 1.441 9.304
O 6.611 7.213 10.353
O 6.723 1.842 2.844
O 6.723 6.812 3.708
O 6.812 1.931 0.432
O 6.812 6.723 6.120
O 7.213 2.042 7.077
O 7.213 6.611 12.581
O 7.363 0.283 11.911
O 7.363 8.371 7.747
O 8.355 2.603 10.516
O 8.355 6.051 9.142
O 8.371 1.291 4.471
O 8.371 7.363 2.082
```

# 3
DFT (r²SCAN) results for an optimized crystal structure of Cu2SO5.

```
16
Lattice="4.666 -3.136 0.000 4.666 3.136 0.000 -4.047 0.000 6.457" Properties=species:S:1:pos:R:3 pbc="T T T"
Cu 2.333 1.568 0.000
Cu -0.250 0.000 1.420
Cu 2.333 -1.568 0.000
Cu 5.535 0.000 5.037
S 0.949 0.000 4.417
S 4.336 0.000 2.039
O 1.311 0.000 0.153
O 0.891 0.000 2.956
O 3.550 1.205 1.623
O -0.365 0.000 5.041
O 1.735 1.205 4.833
O 3.550 -1.205 1.623
O 5.650 0.000 1.416
O 1.735 -1.205 4.833
O 4.394 0.000 3.500
O 3.973 0.000 6.303
```

# 4
DFT (r²SCAN) results for an optimized crystal structure of HfAl2Zn.

```
4
Lattice="4.039 0.000 0.000 0.000 4.039 0.000 0.000 0.000 3.998" Properties=species:S:1:pos:R:3 pbc="T T T"
~~~
The piece goes on >

Within 72 hours of birth, your baby will be offered a full physical examination. This will include four specific checks:

  • Eyes – to check for cataracts
  • Heart – to check for murmurs
  • Hips – to ensure the hip joints are correctly formed
  • Testes (boys) – to check that both testes are in the scrotum

Prompt detection of any issues ensures early and appropriate treatment. This test will be carried out by a trained Midwife or Paediatrician.  

New Born Hearing Screening

All babies are offered a hearing test. 1–2 babies in every 1000 births are born with hearing loss. Most often this occurs when there is no family history of such issues. Early detection means that the correct support and treatment can begin.

This test is performed either before your discharge home or at a local clinic within the first 4 weeks of life.  

To contact the hearing screening team, please call 01322 319124 (everyday 08.00- 15.30) or email kentchft.newbornhearingdvh@nhs.net

New Born Bloodspot Screening (NBS)

Newborn blood spot test - NHS

On day 5 after birth, your baby will be offered a heel prick blood test by your Midwife. Drops of your baby’ blood is collected onto a card which is sent off for analysis. 

The test checks for 9 rare but serious conditions which include:

Sickle Cell Disease (SCD)

This is an inherited blood disease affecting how our body transport oxygen and iron.

Cystic Fibrosis (CF)

This is an inherited condition affecting the lungs and digestive system.

Congenital Hypothyroidism (CHT)

This occurs when the body does not produce enough of the hormone thyroxine causing both physical and mental complications if not treated.

Inherited Metabolic Diseases (IMD)

Your baby will be tested for six inherited metabolic conditions that prevent the body being able to tolerate certain food substances requiring special diets and medicines.

Severe combined immunodeficiency (SCID)

____________
First-principles (PBE) data for an optimized crystal structure of U2AsSe, as listed in the Materials Project.

a = 3.5166 Å, b = 3.5166 Å, c = 7.1282 Å
α = 90.00°, β = 90.00°, γ = 90.00°
Element x y z (fractional)
U 0.0000 0.0000 0.2429
U 0.0000 0.0000 0.7571
As 0.5000 0.5000 0.0000
Se 0.5000 0.5000 0.5000

energy of formation = -324 kJ/mol of formula units
SG = P4/mmm
electronic total energy = -8.41 eV/atom

***

First-principles (PBE) data for an optimized crystal structure of U5As3Se2, as listed in the Materials Project.

a = 8.6199 Å, b = 8.6199 Å, c = 8.6199 Å
α = 99.58°, β = 99.58°, γ = 131.85°
Element x y z (fractional)
U 0.0498 0.1495 0.7015
U 0.1495 0.4480 0.0997
U 0.2500 0.7500 0.5000
U 0.3483 0.0498 0.9003
U 0.4480 0.3483 0.2985
U 0.5520 0.6517 0.7015
U 0.6517 0.9502 0.0997
U 0.7500 0.2500 0.5000
U 0.8505 0.5520 0.9003
U 0.9502 0.8505 0.2985
As 0.0000 0.0000 0.0000
As 0.0999 0.3001 0.4000
As 0.3001 0.9001 0.2002
As 0.5000 0.5000 0.0000
As 0.6999 0.0999 0.7998
As 0.9001 0.6999 0.6000
Se 0.2000 0.6000 0.8000
Se 0.4000 0.2000 0.6000
Se 0.6000 0.8000 0.4000
Se 0.8000 0.4000 0.2000

energy of formation = -762 kJ/mol of formula units
SG = I4/m
electronic total energy = -8.44 eV/atom

***

First-principles (PBE) data for an optimized crystal structure of U2As3Se, as listed in the Materials Project.

a = 3.9787 Å, b = 3.9787 Å, c = 8.1715 Å
α = 90.00°, β = 90.00°, γ = 90.00°
Element x y z (fractional)
U 0.0000 0.0000 0.0000
U 0.5000 0.5000 0.4410
As 0.0000 0.5000 0.7215
As 0.5000 0.0000 0.7215
As 0.5000 0.5000 0.0796
Se 0.0000 0.0000 0.3595

energy of formation = -514 kJ/mol of formula units
SG = P4mm
electronic total energy = -7.49 eV/atom

***

First-principles (PBE) data for an optimized crystal structure of YAsSe, as listed in the Materials Project.

a = 17.6585 Å, b = 3.9127 Å, c = 3.9403 Å
α = 90.00°, β = 90.00°, γ = 90.00°
Element x y z (fractional)
Y 0.1391 0.2500 0.2406
Y 0.3609 0.7500 0.7406
Y 0.6391 0.2500 0.2594
Y 0.8609 0.7500 0.7594
As 0.0012 0.2500 0.7156
As 0.4988 0.7500 0.2156
As 0.5012 0.2500 0.7844
As 0.9988 0.7500 0.2844
Se 0.1878 0.7500 0.7427
Se 0.3122 0.2500 0.2427
Se 0.6878 0.7500 0.7573
Se 0.8122 0.2500 0.2573

energy of formation = -462 kJ/mol of formula units
SG = Pnma
electronic total energy = -6.31 eV/atom

***

First-principles (PBE) data for an optimized crystal structure of Y4AsSe3, as listed in the Materials Project.

a = 7.1025 Å, b = 7.1025 Å, c = 7.1025 Å
α = 131.87°, β = 131.87°, γ = 70.44°
Element x y z (fractional)
Y 0.0000 0.5000 0.5000
Y 0.2435 0.2435 0.0000
Y 0.5000 0.0000 0.5000
Y 0.7565 0.7565 0.0000
As 0.0000 0.0000 0.0000
Se 0.2500 0.7500 0.5000
Se 0.5000 0.5000 0.0000
Se 0.7500 0.2500 0.5000

energy of formation = -1488 kJ/mol of formula units
SG = I4/mmm
electronic total energy = -6.88 eV/atom

***

First-principles (PBE) data for an optimized crystal structure of Zr2As3Se, as listed in the Materials Project.

a = 3.8295 Å, b = 3.8295 Å, c = 8.1432 Å
α = 90.00°, β = 90.00°, γ = 90.00°
____________

The NHS is considering introducing screening for severe combined immunodeficiency (SCID). SCID makes it very hard to fight off infections like pneumonia and meningitis. Screening would help to find and treat babies with this condition earlier.


Darent Valley Hospital currently offer this test.  It is tested from the same blood sample taken for newborn screening.  More information can be found at https://www.gov.uk/government/publications/scid-screening-helping-you-decide-if-you-want-this-for-your-baby/scid-screening-helping-you-decide.

Parents are asked for verbal consent for NBS screening. They can decline for SCD, CF and CHT individually but they can only decline the 6 IMDs as a group. 

The Screening Team at Darent Valley Hospital is available to help and support you throughout any of the screening tests that you or your baby have.  

### Calculated crystals that have nothing to do with the page
┌──
1.
Entry from the Materials Project: an optimized crystal structure of SrCa7Mn8O21 (GGA+U).

**SG**: P1, No. 1
**Spin magnetization**: 120.000 μB per cell

abc: 11.0151 15.5017 10.9638
angles: 90.15 91.36 90.45
Atoms (fractional coordinates):
1 Sr 0.0033 0.1168 0.5032
2 Sr 0.5070 0.3848 0.9862
3 Sr 0.2380 0.3845 0.2470
4 Sr 0.2306 0.1207 0.2430
5 Ca 0.9997 0.1087 0.0037
6 Ca 0.0088 0.6220 0.5090
7 Ca 0.0166 0.6197 0.9928
8 Ca 0.5416 0.1255 0.4776
9 Ca 0.5443 0.1293 0.9834
10 Ca 0.5301 0.6299 0.5115
11 Ca 0.5332 0.6222 0.9744
12 Ca 0.5020 0.3799 0.5130
13 Ca 0.5154 0.8596 0.9842
14 Ca 0.4923 0.8672 0.5088
15 Ca 0.9673 0.3876 0.0038
16 Ca 0.9588 0.3858 0.4993
17 Ca 0.9578 0.8804 0.0001
18 Ca 0.9684 0.8733 0.5125
19 Ca 0.2330 0.3995 0.7694
20 Ca 0.2283 0.8889 0.2710
21 Ca 0.2189 0.8720 0.7393
22 Ca 0.7623 0.3840 0.2541
23 Ca 0.7405 0.3835 0.7540
24 Ca 0.7626 0.8688 0.2570
25 Ca 0.7394 0.8674 0.7498
26 Ca 0.2269 0.1127 0.7491
27 Ca 0.2384 0.6248 0.2598
28 Ca 0.2680 0.6277 0.7411
29 Ca 0.7787 0.1193 0.2495
30 Ca 0.7840 0.1228 0.7539
31 Ca 0.7817 0.6209 0.2528
32 Ca 0.7725 0.6229 0.7589
33 Mn 0.9919 0.9944 0.2531
34 Mn 0.9934 0.9926 0.7549
35 Mn 0.0033 0.5024 0.2503
36 Mn 0.9968 0.4999 0.7522
37 Mn 0.5075 0.9819 0.2291
38 Mn 0.5084 0.9920 0.7351
39 Mn 0.5100 0.4939 0.2449
40 Mn 0.4953 0.5024 0.7472
41 Mn 0.2416 0.9951 0.0122
42 Mn 0.2438 0.9997 0.5180
43 Mn 0.2535 0.5099 0.0073
44 Mn 0.2383 0.4965 0.5114
45 Mn 0.7423 0.9999 0.9947
46 Mn 0.7442 0.9984 0.4960
47 Mn 0.7529 0.5035 0.0003
48 Mn 0.7441 0.5035 0.5037
49 Mn 0.2654 0.2409 0.9524
50 Mn 0.2688 0.2458 0.4724
51 Mn 0.2600 0.7535 0.9750
52 Mn 0.2487 0.7511 0.4987
53 Mn 0.7592 0.2486 0.0033
54 Mn 0.7516 0.2496 0.5055
55 Mn 0.7546 0.7465 0.0001
56 Mn 0.7529 0.7460 0.5058
57 Mn 0.9881 0.2532 0.2595
58 Mn 0.9971 0.2555 0.7630
59 Mn 0.9974 0.7501 0.2636
60 Mn 0.9968 0.7492 0.7488
61 Mn 0.5227 0.2566 0.2587
62 Mn 0.5168 0.2483 0.7485
63 Mn 0.5204 0.7492 0.2629
64 Mn 0.5029 0.7478 0.7471
65 O 0.0986 0.7706 0.6069
66 O 0.5852 0.2550 0.1001
67 O 0.5850 0.2523 0.5905
68 O 0.5974 0.7557 0.1088
69 O 0.6023 0.7630 0.6027
70 O 0.4032 0.2038 0.3546
71 O 0.4045 0.1906 0.8506
72 O 0.4061 0.6989 0.3623
73 O 0.4102 0.7313 0.8980
74 O 0.8960 0.2433 0.4138
75 O 0.9126 0.2359 0.9222
76 O 0.8933 0.7295 0.4071
77 O 0.8984 0.7320 0.9014
78 O 0.1441 0.2470 0.3364
79 O 0.1703 0.2538 0.7936
80 O 0.1600 0.7497 0.3355
81 O 0.1449 0.7370 0.8476
82 O 0.6558 0.2188 0.3509
83 O 0.6600 0.2282 0.8535
84 O 0.6586 0.7212 0.3543
85 O 0.6494 0.7286 0.8545
86 O 0.3558 0.7659 0.6449
87 O 0.8481 0.2714 0.1539
88 O 0.8533 0.2735 0.6516
89 O 0.8661 0.7703 0.1409
90 O 0.8517 0.7702 0.6475
91 O 0.3623 0.5155 0.1623
92 O 0.3490 0.4945 0.6466
93 O 0.3506 0.0010 0.1620
94 O 0.3489 0.9947 0.6693
95 O 0.8611 0.4871 0.1428
96 O 0.8533 0.4795 0.6438
97 O 0.8450 0.9795 0.1396
98 O 0.8485 0.9799 0.6438
99 O 0.1470 0.0103 0.3701
100 O 0.1488 0.0004 0.8636
101 O 0.1486 0.5099 0.3573
102 O 0.1460 0.5239 0.8592
103 O 0.6282 0.0242 0.3400
└──
### The page goes on

For any queries please contact us on 01322 428185, or email dgn-tr.annb@nhs.net.